Monday, May 6, 2024

Potato planting 2024

At last, after a two-month delay due mainly to wet weather (but also a snapped pin on the tractor steering), we managed to plant our acre of potatoes on the 1st and 3rd of May, only the second time we've ever had to plant as late as May. We ploughed the field back in early February just before the rains began, and couldn't roll or rotovate it until late April due to the wetness!

One acre of the chicken field ploughed in February, and left for the chickens to pick over (we also hand-pulled as many dock roots as we could find).

**Misplaced crystal structures:**
/*
[1]
Structure and theoretical powder XRD pattern of Tb3TmTh3 (DFT lattice parameters and positions (GGA-PBE); Cu Kα, 1.54184 Å).
Neutral-atom scattering factors, no anomalous dispersion.

The 10 most intense peaks (5° ≤ 2θ ≤ 70°), by intensity:
2θ (°)  d/Å  I/Imax
32.7  2.740  1000
30.9  2.896  260
28.7  3.109  235
60.7  1.526  227
56.1  1.640  220
50.9  1.795  202
42.7  2.119  164
61.8  1.502  164
68.5  1.370  41
64.3  1.448  33

Crystal structure
```
data_Tb3TmTh3
_chemical_formula_sum 'Tb6 Tm2 Th6'
_cell_length_a 9.4995
_cell_length_b 9.4995
_cell_length_c 5.7919
_cell_angle_alpha 90.00
_cell_angle_beta 90.00
_cell_angle_gamma 120.00
_space_group_name_H-M_alt 'P 1'
_space_group_IT_number 1
loop_
_space_group_symop_operation_xyz
'x,y,z'
loop_
_atom_site_label
_atom_site_fract_x
_atom_site_fract_y
_atom_site_fract_z
Tb1 0.0445 0.8044 0.2500
Tb2 0.1956 0.2401 0.2500
Tb3 0.2401 0.0445 0.7500
Tb4 0.7599 0.9555 0.2500
Tb5 0.8044 0.7599 0.7500
Tb6 0.9555 0.1956 0.7500
Tm1 0.3333 0.6667 0.2500
Tm2 0.6667 0.3333 0.7500
Th1 0.1041 0.6171 0.7500
Th2 0.3829 0.4870 0.7500
Th3 0.4870 0.1041 0.2500
Th4 0.5130 0.8959 0.7500
Th5 0.6171 0.5130 0.2500
Th6 0.8959 0.3829 0.2500
```


[2]
Structure and theoretical powder XRD pattern of TbTm3Th2 (DFT lattice parameters and positions (GGA-PBE); Cu Kα, 1.54184 Å).
Neutral-atom scattering factors, no anomalous dispersion.

The 10 most intense peaks (5° ≤ 2θ ≤ 70°), by intensity:
2θ (°)  d/Å  I/Imax
30.9  2.889  1000
31.1  2.875  987
35.9  2.499  675
51.9  1.762  358
61.7  1.504  356
36.1  2.491  333
61.4  1.509  291
51.8  1.766  240
61.8  1.502  214
64.5  1.445  125

Crystal structure
```
data_TbTm3Th2
_chemical_formula_sum 'Tb2 Tm6 Th4'
_cell_length_a 9.9637
_cell_length_b 3.5470
_cell_length_c 10.5633
_cell_angle_alpha 90.00
_cell_angle_beta 90.18
_cell_angle_gamma 90.00
_space_group_name_H-M_alt 'P 1'
_space_group_IT_number 1
loop_
_space_group_symop_operation_xyz
'x,y,z'
loop_
_atom_site_label
_atom_site_fract_x
_atom_site_fract_y
_atom_site_fract_z
Tb1 0.1233 0.2500 0.2511
Tb2 0.8767 0.7500 0.7489
Tm1 0.1317 0.2500 0.9181
Tm2 0.3715 0.7500 0.4177
Tm3 0.3757 0.7500 0.7507
Tm4 0.6243 0.2500 0.2493
Tm5 0.6285 0.2500 0.5823
Tm6 0.8683 0.7500 0.0819
Th1 0.1255 0.2500 0.5820
Th2 0.3782 0.7500 0.0827
Th3 0.6218 0.2500 0.9173
Th4 0.8745 0.7500 0.4180
```


[3]
Structure and theoretical powder XRD pattern of Tb2TmTh6 (DFT lattice parameters and positions (GGA-PBE); Cu Kα, 1.54184 Å).
Neutral-atom scattering factors, no anomalous dispersion.

The 10 most intense peaks (5° ≤ 2θ ≤ 70°), by intensity:
2θ (°)  d/Å  I/Imax
31.4  2.852  1000
33.2  2.699  621
32.2  2.780  531
32.3  2.770  298
35.8  2.508  236
28.7  3.115  197
23.9  3.718  194
29.6  3.013  178
49.5  1.840  144
62.1  1.494  140

Crystal structure
```
data_Tb2TmTh6
_chemical_formula_sum 'Tb2 Tm1 Th6'
_cell_length_a 6.1391
_cell_length_b 6.1462
_cell_length_c 8.7072
_cell_angle_alpha 76.26
_cell_angle_beta 76.15
_cell_angle_gamma 70.48
_space_group_name_H-M_alt 'P 1'
*/
**So much for the crystal structures:**

Jess and Ross planting potatoes last Wednesday.

Planting potatoes last Wednesday - nice view!

Libby and Louie planting potatoes last Monday.
This year we have planted four varieties - 5 sacks of Casablanca first early, 5 sacks of Maris Peer second early, 12 sacks of Cara maincrop (because Ambo was not available), and 16 sacks of Carolus blight-tolerant maincrop.

Veg boxes 3rd May


Digging fresh elephant garlic.

Spinach harvested ready for veg boxes.

Spinach beds in the "hungry gap" section of the market garden.
Small £9.50 veg box - dried ring-of-fire chillies, a fresh elephant garlic, mixed herbs, Twister potatoes, salad leaves, spinach, and a swede.

Standard £14.50 veg box - all the above, plus chard, a bunch of icicle radishes, oriental greens, and rhubarb.

Friday, April 26, 2024

Today's veg boxes

-- Crystal structures, as found in the file --
=====
For V4OF11, a cell relaxed with GGA+U gives the theoretical powder diffraction line list in this record (Cu Kα, 1.54184 Å).
Intensities are scaled so that the largest is 100.

Peak list (6 most intense, 2θ = 10–90°, low angle first)
2θ/deg  I (rel.)  hkl
23.43  50  0 1 3
23.57  100  1 0 3
32.83  15  1 -1 0
39.71  19  2 0 2
48.22  20  2 0 6
53.46  18  2 3 -1

Structural model:
Cell lengths 5.241, 5.461, 17.491 Å; angles 82.78, 81.39, 61.40 degrees
Positions (direct):
V 0.000 0.000 0.000
V 0.102 0.115 0.632
V 0.263 0.237 0.257
V 0.373 0.379 0.874
V 0.482 0.500 0.501
V 0.627 0.621 0.126
V 0.749 0.758 0.748
V 0.857 0.879 0.374
O 0.484 0.086 0.329
O 0.961 0.962 0.704
F 0.013 0.407 0.168
F 0.035 0.035 0.286
F 0.040 0.429 0.688
F 0.198 0.822 0.560
F 0.210 0.216 0.963
F 0.235 0.834 0.088
F 0.245 0.664 0.412
F 0.273 0.283 0.543
F 0.292 0.688 0.937
F 0.450 0.469 0.214
F 0.454 0.071 0.812
F 0.503 0.911 0.661
F 0.531 0.947 0.185
F 0.536 0.545 0.786
F 0.698 0.715 0.462
F 0.709 0.312 0.064
F 0.729 0.346 0.588
F 0.766 0.161 0.911
F 0.770 0.191 0.438
F 0.789 0.783 0.037
F 0.955 0.553 0.313
F 0.980 0.596 0.837
=====


Today we have delivered (or had collected) 78 veg boxes, thanks to Chris and Richard, our two volunteer delivery drivers. The boxes contained:-

Small box (£9.50) - purple sprouting broccoli (Cargease Organics), carrots (UK organic), a cauliflower (Cargease Organics), potatoes, a bunch of icicle radishes, and mixed salad leaves.

Standard box (£14.50) - carrots (UK organic), a cauliflower (Cargease Organics), chard, oriental greens, mixed herbs, parsnips (UK organic), potatoes, a bunch of icicle radishes, rhubarb, and mixed salad leaves.

To sign up for one of our not-for-profit veg boxes please fill out an online form at

Cargease Organics.


Our good friend, Franics Sampson, of Cargease Organics near Cockwells and Crowlas, is semi-retiring, and will no longer be growing organic veg to sell. Francis is one of the UK's leading organic field-scale growers, and many box schemes in Cornwall and across the country have relied on his veg to fill their boxes each winter. We have been buying Francis' veg since we opened our first farm shop in 2013, and over the years his cauliflowers in particular have been staples in our veg boxes in the winter (along with his purple sprouting broccoli, swedes, cabbages, leeks, and Brussels sprouts, and there have also been potatoes, carrots, beetroot, and celeriac at times). We have his caulis and PSB in the boxes this week, and that will be the end...

We wish Francis a very happy semi-retirement - after 50 years of picking caulis his back deserves a rest! A huge thanks to him and his team for all the wonderful local organic veg over the past eleven years!

More recent WWOOF volunteers







Monday, March 25, 2024

Spring Open Day

Yesterday was our spring open day, with the main theme being "getting yourself ready for the growing season".... Despite the waterlogged fields preventing any car-parking at the farm itself, lots of people made the journey down from St. Just on foot, so the day was well-attended and a great success.

Our pop-up cafe in the farmyard - tea, coffee, cakes, soup, chilli, homity pies, green salad, coleslaw etc...

Cheese and olive stall.

Cornwall Wildlife Trust information stall.

Jam and preserves stall.

Joe with his foot-powered treadle lathe for green woodworking.

Kate on the farm's wildflower plants stall, with Marie on the National Trust information stall behind.

Lunchtime in the farmyard.

Nick's carved wooden spoons.

Andy with his upcycled planters and garden plants.

Plate garden workshop.

Sustrans and their bicycle repair shop.

Terry talking trees as part of the one-hour farm tour (centred on the market garden).

**Someone pasted calculated crystals at this point**
┌──
Diffraction record for Ba6Bi13Se26. The XRD peak list is simulated, not measured: it uses a crystal structure in the Materials Project, relaxed with PBE and a wavelength of 1.5418 Å.
Intensities are scaled so that the largest is 100.

Largest 10 diffraction maxima, sorted by position, 10° ≤ 2θ ≤ 90°:
- 2θ = 24.15°, d = 3.685 Å, I 50.4
- 2θ = 24.91°, d = 3.574 Å, I 38.2
- 2θ = 27.37°, d = 3.259 Å, I 40.4
- 2θ = 28.88°, d = 3.091 Å, I 39.4
- 2θ = 29.07°, d = 3.072 Å, I 45.5
- 2θ = 29.37°, d = 3.041 Å, I 64.8
- 2θ = 29.50°, d = 3.028 Å, I 100.0
- 2θ = 35.83°, d = 2.506 Å, I 41.5
- 2θ = 40.80°, d = 2.211 Å, I 32.0
- 2θ = 41.95°, d = 2.153 Å, I 67.0

Structural model:
```
Ba6Bi13Se26
1.0
17.528 0.000 0.000
0.000 4.307 0.000
-0.182 0.000 18.811
Ba Bi Se
6 13 26
Cartesian
0.000 0.000 0.000
0.026 2.153 10.455
8.826 0.000 1.676
9.083 2.153 12.186
12.915 2.153 8.971
13.599 0.000 3.089
1.548 2.153 3.646
2.694 0.000 15.031
3.086 0.000 7.314
4.637 2.153 10.718
5.890 2.153 4.423
6.125 2.153 15.934
7.476 0.000 8.182
9.825 0.000 16.250
10.213 2.153 5.560
13.010 0.000 13.252
13.325 2.153 17.655
16.314 0.000 6.463
16.499 2.153 14.615
0.288 0.000 13.094
1.076 2.153 7.154
1.125 2.153 16.473
2.228 2.153 1.090
2.677 0.000 10.266
3.778 0.000 4.467
4.143 2.153 13.674
4.637 0.000 17.177
5.168 2.153 7.814
6.366 2.153 1.855
6.719 0.000 10.941
7.740 0.000 14.372
7.949 0.000 5.109
8.462 2.153 17.765
9.274 2.153 8.669
11.072 2.153 2.935
11.339 0.000 11.055
11.342 2.153 14.789
11.753 0.000 18.720
11.972 0.000 6.301
14.546 2.153 5.820
14.564 2.153 12.178
15.002 0.000 16.091
15.172 2.153 1.028
15.456 0.000 9.138
17.180 0.000 3.502
```

Diffraction record for Ba4Sn9Bi3. The XRD peak list is simulated, not measured: it uses a crystal structure in the Materials Project, relaxed with PBE and a wavelength of 1.5418 Å.
Intensities are scaled so that the largest is 100.

Largest 10 diffraction maxima, sorted by position, 10° ≤ 2θ ≤ 90°:
- 2θ = 28.03°, d = 3.183 Å, I 13.9
- 2θ = 28.31°, d = 3.153 Å, I 15.8
- 2θ = 30.43°, d = 2.937 Å, I 11.9
- 2θ = 31.30°, d = 2.858 Å, I 31.7
- 2θ = 32.19°, d = 2.781 Å, I 100.0
- 2θ = 34.33°, d = 2.612 Å, I 12.2
- 2θ = 49.60°, d = 1.838 Å, I 20.4
- 2θ = 56.27°, d = 1.635 Å, I 20.6
- 2θ = 59.83°, d = 1.546 Å, I 22.0
- 2θ = 60.37°, d = 1.533 Å, I 11.7

Structural model:
```
Ba4Sn9Bi3
1.0
7.351 0.000 0.000
-3.676 6.366 0.000
0.000 0.000 22.865
Ba Sn Bi
8 18 6
Cartesian
0.000 0.000 0.000
0.000 0.000 5.716
0.000 0.000 11.432
0.000 0.000 17.148
0.000 4.244 3.068
0.000 4.244 8.364
3.676 2.122 14.500
3.676 2.122 19.797
-1.524 3.364 17.148
0.000 2.454 14.288
0.000 2.454 20.009
-1.550 5.139 14.288
-1.550 5.139 20.009
2.125 1.227 2.856
2.125 1.227 8.577
1.524 3.364 17.148
0.000 6.004 17.148
3.676 0.362 5.716
2.151 3.002 5.716
1.550 5.139 14.288
1.550 5.139 20.009
5.226 1.227 2.856
5.226 1.227 8.577
3.676 3.912 2.856
3.676 3.912 8.577
5.200 3.002 5.716
-1.838 3.183 0.000
-1.838 3.183 11.432
3.676 0.000 0.000
3.676 0.000 11.432
1.838 3.183 0.000
1.838 3.183 11.432
└──

Tom with his scything demonstration (there will be a full day workshop later in the year).

Victor's tool-sharpening station (Oliver had another tool sharpening station in our workshop).

There was plenty of other stuff happening too (raffle, seed swap, farm shop etc..) but this is what I managed to photograph on the day. A HUGE thank you to all our volunteers who made the day such a success!

Recent WWOOFers

Many thanks to our volunteers from World Wide Opportunities on Organic Farms who come from all over the world to further their knowledge of regenerative agriculture here at Bosavern Community Farm. The following three WWOOFers have all left recently having come to the ends of their stays with us.

Ana, helping to clean out the chicken sheds last Wednesday afternoon.

Jamie, digging out nettle roots before planting onion sets, on the market garden.

Laura (on the right) with Jojo (who is still here), harvesting nettles in Home Field.

Monday, March 11, 2024

True Foxes

One of our favourite bands filmed the video for their latest song "Higher" here on the community farm last month - please watch it by clicking on the link below.

You can also reach this video via their own website and scrolling down to Higher.

Thursday, March 7, 2024

St. Pirran's Day gold award


Our lovely shop window display for St. Pirran's Day (see earlier post) won gold award for a small window!!! Well done to the artistic team who created the display.

Tomorrow's veg boxes

Watercress harvest in Valentine polytunnel.

We have almost finished packing tomorrow's 83 veg boxes and 3 restaurant orders. Tomorrow morning we need to pick and pack 10kg of salad leaves and then we can deliver them all. They will contain:-

standard veg box (£13.50) - 1.5kg potatoes, a cauliflower, a white cabbage, watercress, salad leaves, 2 dried chillies, a wet elephant garlic, mixed herbs, and kale;

small veg box (£8.50) - 1kg potatoes, a cauliflower, Chinese cabbage, 2 dried chillies, watercress, and salad leaves.

Please sign up to our not-for-profit veg box scheme by completing the on-line form on our website, many thanks.

Wednesday, February 28, 2024

St. Pirran's shop window display

As part of St. Pirran's day on 5th March (next Tuesday) a group of farm volunteers have lovingly created a beautiful window display for our farm shop. Many thanks to our wonderful volunteers! Please come to the shop and admire their handiwork.

Stocking the farm shop

This week we took delivery of a big order from Suma, and we have also been stocking up on local supplies, plus of course our own eggs, so our farm shop is looking lovely. We are open Monday to Saturday from 10am till 5pm, closed on Sundays.

Recent WWOOF volunteers

Many many thanks to all the WWOOF volunteers whom we have hosted in February - Baptiste, Freddie, Will, Grace, Ruby, Gina, and Warren - who have already moved on to their next projects and destinations.

Baptiste harvesting coriander in Valentine polytunnel.

Freddie harvesting Brussels sprouts on the market garden in January.

Warren harvesting squash last October.

Veg box 23/2/24

One of our standard veg boxes last week.

Our first purple sprouting broccoli pick of the year last Thursday.

Last week our veg boxes contained:-

Standard box (£13.50) - purple sprouting broccoli (our first pick of the year!), a savoy cabbage, a cauliflower, 3 dried chillies, oriental greens, kale, potatoes, a bunch of radishes, salad leaves, and watercress.

Small box (£8.50) - a cauliflower, 3 dried chillies, kale, potatoes, salad leaves, and watercress.

Veg boxes can now be ordered online via our website:-

Wednesday, January 31, 2024

Veg boxes 2/2/24

We have just been out in the field digging up our potatoes for this week's veg boxes. This week we are planning to include the following:-

£8.50 box - carrots, a cauliflower, rainbow chard, spring greens, potatoes, and salad leaves.

£13.50 box - golden beetroot, a savoy cabbage, carrots, a portion of celeriac, oriental greens, spring greens, potatoes, salad leaves, and watercress.

The rainbow chard, potatoes, salad leaves, oriental greens, and watercress are grown here on the community farm. The cauliflowers, savoy cabbages, and spring greens are grown at Cargease Organics near Crowlas. The carrots, golden beetroot, and celeriacs have been grown on organic farms in the UK.

Eggs aplenty

After quite a hard winter, our chickens have started to lay well again already, and are now producing about 120 eggs per day between them, so we have plenty of eggs for sale in the farm shop. Our eggs are priced at £2.30 per half dozen. Our chicken flock has a one-hectare field to range in, and we feed them on GM-free soya-free layers pellets. Our farm shop is open Monday to Saturday from 10:00 till 17:00. Our eggs are also available at Sennen Farmers Market (Tuesdays 09:30 till 12:30) and in our weekly veg boxes.

Tuesday, January 30, 2024

Tamar Organics seeds for sale in our farm shop

Tamar Organics is the seed company from whom we buy most of the seeds that we use here on Bosavern Community Farm. For the past few years we have stocked seed packets in our farm shop from the Seed Cooperative in Lincolnshire, because they were a community owned cooperative, but sadly they are no more. So we have turned to Tamar, a Cornish organic seed company, whose seeds we find to consistently be some of the best, and we now have a wide range of their seeds in our shop instead.

Our farm shop is open from 10am till 5pm six days per week (closed on Sundays). We also stock professional-standard peat-free potting compost at £11.45 per sack, and seed trays made from recycled plastic.